[Entries]
Diffraction record for NaYSnWO6. The powder diffractogram is theoretical, not measured: it uses the PBE+U geometry in the Materials Project and Cu Kα (λ = 1.5418 Å).
Neutral-atom scattering factors, no anomalous dispersion.

The 12 most intense peaks (2θ from 10° to 90°), in order of rising 2θ:
- 18.41 deg, I 28.6, hkl 1 1 1
- 21.29 deg, I 21.9, hkl 2 0 0
- 30.29 deg, I 100.0, hkl 2 2 0
- 35.68 deg, I 14.9, hkl 3 1 1
- 43.36 deg, I 32.8, hkl 4 0 0
- 48.79 deg, I 8.3, hkl 4 2 0
- 53.81 deg, I 40.8, hkl 4 2 2
- 57.36 deg, I 6.2, hkl 5 1 1
- 63.00 deg, I 20.2, hkl 4 4 0
- 71.49 deg, I 18.4, hkl 6 2 0
- 79.57 deg, I 6.7, hkl 4 4 4
- 87.45 deg, I 22.4, hkl 6 4 2

Cell and atoms:
a b c (Å): 8.3465 8.3465 8.3465
angles (deg): 90.00 90.00 90.00
Space group F-43m (No. 216)
Unique sites:
Na1 0.0000 0.0000 0.0000
Y1 0.2500 0.2500 0.2500

[Exercise]
Could you print the contents further above from the line with "1.5418 Å)." to the end character by character?

[Result]
Diffraction record for NaYSnWO6. The powder diffractogram is theoretical, not measured: it uses the PBE+U geometry in the Materials Project and Cu Kα (λ = 1.5418 Å).
Neutral-atom scattering factors, no anomalous dispersion.

The 12 most intense peaks (2θ from 10° to 90°), in order of rising 2θ:
- 18.41 deg, I 28.6, hkl 1 1 1
- 21.29 deg, I 21.9, hkl 2 0 0
- 30.29 deg, I 100.0, hkl 2 2 0
- 35.68 deg, I 14.9, hkl 3 1 1
- 43.36 deg, I 32.8, hkl 4 0 0
- 48.79 deg, I 8.3, hkl 4 2 0
- 53.81 deg, I 40.8, hkl 4 2 2
- 57.36 deg, I 6.2, hkl 5 1 1
- 63.00 deg, I 20.2, hkl 4 4 0
- 71.49 deg, I 18.4, hkl 6 2 0
- 79.57 deg, I 6.7, hkl 4 4 4
- 87.45 deg, I 22.4, hkl 6 4 2

Cell and atoms:
a b c (Å): 8.3465 8.3465 8.3465
angles (deg): 90.00 90.00 90.00
Space group F-43m (No. 216)
Unique sites:
Na1 0.0000 0.0000 0.0000
Y1 0.2500 0.2500 0.2500